University isn’t for everyone, though it’s often marketed that way. Sometimes, it can be isolating so you might find that you want to go to one closer to home. At other times, it’s just not for some people at all, and they might want to leave and go straight into work. This is a difficult decision to make, both financially and mentally, and it can really take a toll on your well-being. Here is what you can consider if the university you picked isn’t all you hoped that it would be.
____________
# 1
Ba6AuI5 | GGA-PBE | relaxed

Its crystal system is monoclinic. The energy is -37.21 eV/f.u. The formation energy from raw total energies comes out at -117.7 kJ/mol of atoms. As for the space group: No. 12. The value obtained for the spin magnetization is 0.49 μB/cell.

Cell lengths 8.7592, 8.7592, 8.4910 Å; angles 99.73, 99.73, 119.18 degrees
Closest atoms and distances in Å follow each position.
Sites, in units of the cell vectors:
1 Ba 0.0746 0.3786 0.7291  1 Au 3.24, 4 I 3.57-3.61
2 Ba 0.2212 0.2212 0.2510  1 Au 3.33, 4 I 3.63-3.70
3 Ba 0.3786 0.0746 0.7291  1 Au 3.24, 4 I 3.57-3.61
4 Ba 0.6214 0.9254 0.2709  1 Au 3.24, 4 I 3.57-3.61
5 Ba 0.7788 0.7788 0.7490  1 Au 3.33, 4 I 3.63-3.70
6 Ba 0.9254 0.6214 0.2709  1 Au 3.24, 4 I 3.57-3.61
7 Au 0.0000 0.0000 0.5000  6 Ba 3.24-3.33
8 I 0.1886 0.8114 0.0000  6 Ba 3.57-3.70
9 I 0.3370 0.6630 0.5000  6 Ba 3.58-3.63
10 I 0.5000 0.5000 0.0000  6 Ba 3.57-3.77
11 I 0.6630 0.3370 0.5000  6 Ba 3.58-3.63
12 I 0.8114 0.1886 0.0000  6 Ba 3.57-3.70

# 2
LiZrI2O | GGA-PBE | relaxed

Its crystal system is tetragonal. The energy is -24.90 eV/f.u. The energy above the most stable polymorph in this dataset comes out at 0.0 meV per atom. The formation energy from raw total energies comes out at -123.1 kJ/mol of atoms. As for the space group: No. 123. The value obtained for the spin magnetization is 0.92 μB/cell.

Cell lengths 5.9862, 5.9862, 4.0523 Å; angles 90.00, 90.00, 90.00 degrees
Closest atoms and distances in Å follow each position.
Sites, in units of the cell vectors:
1 Li 0.0000 0.0000 0.0000  8 I 3.61
2 Zr 0.5000 0.5000 0.5000  2 O 2.03
3 I 0.0000 0.5000 0.5000  2 Zr 2.99
4 I 0.5000 0.0000 0.5000  2 Zr 2.99
5 O 0.5000 0.5000 0.0000  2 Zr 2.03

# 3
SmY2Pu | GGA-PBE | relaxed

Its crystal system is tetragonal. The energy is -31.54 eV/f.u. The energy above the most stable polymorph in this dataset comes out at 2.7 meV per atom. As for the space group: No. 123. The calculation puts the energy relative to the elements at 0.11 eV/atom. The value obtained for the spin magnetization is 6.48 μB/cell.

Cell lengths 3.5340, 3.5340, 10.0909 Å; angles 90.00, 90.00, 90.00 degrees
Closest atoms and distances in Å follow each position.
Sites, in units of the cell vectors:
1 Sm 0.0000 0.0000 0.0000  4 Sm 3.53, 8 Y 3.61
2 Y 0.5000 0.5000 0.2580  4 Pu 3.49, 4 Y 3.53, 4 Sm 3.61
3 Y 0.5000 0.5000 0.7420  4 Pu 3.49, 4 Y 3.53, 4 Sm 3.61
4 Pu 0.0000 0.0000 0.5000  8 Y 3.49, 4 Pu 3.53

# 4
PrBiS2 | GGA-PBE | relaxed

Its crystal system is trigonal. The energy is -21.55 eV/f.u. The formation energy from raw total energies comes out at -111.7 kJ/mol of atoms. As for the space group: No. 166. The value obtained for the spin magnetization is 0.00 μB/cell.

Cell lengths 9.0286, 9.0286, 9.0286 Å; angles 26.22, 26.22, 26.22 degrees
Closest atoms and distances in Å follow each position.
Sites, in units of the cell vectors:
1 Pr 0.0000 0.0000 0.0000  6 S 2.84
2 Bi 0.5000 0.5000 0.5000  2 S 2.79
____________
#1 Consider getting a transfer
You might want to consider getting a transfer to another university. This is important for those that feel like the particular university that they chose doesn’t fit well with them. This is a key part of your education and finding the right university is crucial, but you shouldn’t feel like you are trapped for four years going to a university that you hate.
By looking on sites such as, you can find the admission details for any of the universities to see if you have what it takes to get in somewhere you will enjoy a lot more than where you are currently located.
Record 1
The following is a DFT calculation (PBE) of crystalline BiAuBr6 at its relaxed geometry.

Calculated values
Polymorph energy (0 for the lowest one) = 7.6 kJ per mole of atoms
Final energy = -2.504 eV per atom

Cell: 8.8024 9.4647 7.3168 Å, 58.67 59.85 37.75°
With the nearest neighbours (Å) after each atom.
Positions (direct):
Bi 0.5000 0.5000 0.5000  6 Br 2.78-2.98
Au 0.0000 0.0000 0.0000  4 Br 2.49-2.53
Br 0.1242 0.5203 0.6503  1 Bi 2.78
Br 0.7409 0.0648 0.8573  1 Au 2.49
Br 0.6171 0.2237 0.2831  1 Au 2.53
Br 0.2591 0.9352 0.1427  1 Au 2.49
Br 0.8758 0.4797 0.3497  1 Bi 2.78
Br 0.3829 0.7763 0.7169  1 Au 2.53


Record 2
The following is a DFT calculation (PBE) of crystalline LaPrO3 at its relaxed geometry.

Calculated values
Final energy = -8.146 eV per atom

Cell: 5.9807 5.9807 6.7054 Å, 63.52 63.52 60.00°
With the nearest neighbours (Å) after each atom.
Positions (direct):
La 0.1443 0.1443 0.5670  6 O 2.39-2.52
La 0.8557 0.8557 0.4330  6 O 2.39-2.52
Pr 0.3542 0.3542 0.9375  6 O 2.38-2.50
Pr 0.6458 0.6458 0.0625  6 O 2.38-2.50
O 0.2537 0.9581 0.2493  2 Pr 2.38-2.50, 2 La 2.39-2.52
O 0.9581 0.5389 0.2493  2 Pr 2.38-2.50, 2 La 2.39-2.52
O 0.5389 0.2537 0.2493  2 Pr 2.38-2.50, 2 La 2.39-2.52
O 0.7463 0.4611 0.7507  2 Pr 2.38-2.50, 2 La 2.39-2.52
O 0.0419 0.7463 0.7507  2 Pr 2.38-2.50, 2 La 2.39-2.52
O 0.4611 0.0419 0.7507  2 Pr 2.38-2.50, 2 La 2.39-2.52


Record 3
The following is a DFT calculation (PBE) of crystalline Tb3Nd12Hg at its relaxed geometry.

Calculated values
Calculated formation energy = -0.023 eV per atom
Final energy = -4.486 eV per atom

Cell: 5.0875 5.0875 20.6626 Å, 90.00 90.00 90.00°
With the nearest neighbours (Å) after each atom.
Positions (direct):
Tb 0.0000 0.0000 0.2471  12 Nd 3.60-3.65
Tb 0.0000 0.0000 0.5000  12 Nd 3.60-3.65
Tb 0.0000 0.0000 0.7529  12 Nd 3.60-3.65
Nd 0.5000 0.5000 0.0000  8 Nd 3.56, 4 Hg 3.60
Nd 0.5000 0.5000 0.2451  4 Tb 3.60, 8 Nd 3.62-3.67
Nd 0.5000 0.5000 0.5000  4 Tb 3.60, 8 Nd 3.65
Nd 0.5000 0.5000 0.7549  4 Tb 3.60, 8 Nd 3.62-3.67
Nd 0.5000 0.0000 0.1207  8 Nd 3.56-3.62, 2 Hg 3.56, 2 Tb 3.65
Nd 0.5000 0.0000 0.3734  8 Nd 3.60-3.67, 4 Tb 3.64-3.65
Nd 0.5000 0.0000 0.6266  8 Nd 3.60-3.67, 4 Tb 3.64-3.65
Nd 0.5000 0.0000 0.8793  2 Hg 3.56, 8 Nd 3.56-3.62, 2 Tb 3.65
Nd 0.0000 0.5000 0.1207  2 Hg 3.56, 8 Nd 3.56-3.62, 2 Tb 3.65
Nd 0.0000 0.5000 0.3734  8 Nd 3.60-3.67, 4 Tb 3.64-3.65
Nd 0.0000 0.5000 0.6266  8 Nd 3.60-3.67, 4 Tb 3.64-3.65
Nd 0.0000 0.5000 0.8793  2 Hg 3.56, 8 Nd 3.56-3.62, 2 Tb 3.65
Hg 0.0000 0.0000 0.0000  12 Nd 3.56-3.60


Record 4
The following is a DFT calculation (PBE) of crystalline Pu2ZnCr at its relaxed geometry.

Calculated values
Polymorph energy (0 for the lowest one) = 34.0 kJ per mole of atoms
Calculated formation energy = 0.504 eV per atom
Final energy = -9.386 eV per atom

Cell: 3.1013 3.1013 10.4700 Å, 81.48 81.48 60.00°
With the nearest neighbours (Å) after each atom.
Positions (direct):
Cr 0.5000 0.5000 0.5000  6 Pu 2.80, 6 Cr 3.10
-- The article goes on --
#2 You need to think about other options
You might want to consider dropping out or taking a year out and then restarting your current year back over. This is something that can actually be really helpful, and it can be incredibly beneficial to your mental health. Taking this sort of break can help you catch up with yourself, especially if something big happens and you need to take time out because your studies are no longer at the top of your priority list.
_Materials data from another source follow_
<<<
First-principles (GGA-PBE) data for a relaxed Sr2AsBr crystal, as listed in Alexandria.

Unit cell a=7.067 b=7.067 c=7.067 alpha=143.31 beta=143.31 gamma=52.86
Positions (direct):
Sr: 0.000 0.000 0.000
Sr: 0.250 0.750 0.500
As: 0.500 0.500 0.000
Br: 0.750 0.250 0.500

Values from the calculation:
Its total magnetization is 0.00 μB/cell. The value obtained for the raw formation energy is -1.140 eV per atom.

----------

# 1
11
Lattice="6.130 0.000 0.000 -3.065 5.308 0.000 0.000 0.000 11.660" Properties=species:S:1:pos:R:3 comment="Tb5Pm5Ho | the Alexandria database | PBE | optimized geometry" delta_e_f_ev_per_atom=0.30 pbc="T T T"
Tb 0.000 0.000 2.741
Tb 0.000 0.000 8.919
Tb 1.541 0.890 0.000
Tb 4.589 0.890 0.000
Tb 3.065 3.529 0.000
Pm 0.000 0.000 5.830
Pm 0.000 3.539 2.137
Pm 0.000 3.539 9.523
Pm 3.065 1.769 4.023
Pm 3.065 1.769 7.636
Ho 0.000 3.539 5.830



# 2
6
Lattice="2.023 -5.932 0.000 2.023 5.932 0.000 0.000 0.000 4.868" Properties=species:S:1:pos:R:3 comment="PaSiTc | the Alexandria database | PBE | optimized geometry" e_form_raw_ev_per_atom=-0.0284 pbc="T T T"
Pa 2.023 3.417 3.651
Pa 2.023 -3.417 1.217
Si 0.000 0.000 0.000
Si 0.000 0.000 2.434
Tc 2.023 1.067 3.651
Tc 2.023 -1.067 1.217



# 3
4
Lattice="5.488 0.000 0.000 0.000 5.488 0.000 0.000 0.000 3.157" Properties=species:S:1:pos:R:3 comment="Ca2ReBr | the Alexandria database | PBE | optimized geometry" e_form_raw_ev_per_atom=0.1203 pbc="T T T"
Ca 0.000 2.744 0.000
Ca 2.744 0.000 0.000
Re 0.000 0.000 1.578
Br 2.744 2.744 1.578



# 4
11
Lattice="8.672 0.000 0.000 0.000 5.346 0.000 -0.520 0.000 10.834" Properties=species:S:1:pos:R:3 comment="Rb4Na5Au2 | the Alexandria database | PBE | optimized geometry" delta_e_f_ev_per_atom=-0.08 pbc="T T T"
Rb 1.525 0.000 3.712
Rb 1.354 0.000 10.036
Rb 6.798 0.000 0.798
Rb 6.627 0.000 7.122
Na 0.911 2.673 7.105
Na 3.629 2.673 1.723
Na 4.076 2.673 5.417
Na 4.523 2.673 9.111
Na 7.241 2.673 3.729
Au 0.537 2.673 1.355
Au 7.615 2.673 9.479



# 5
18
Lattice="6.916 0.000 0.000 -3.458 5.990 0.000 0.000 0.000 13.971" Properties=species:S:1:pos:R:3 comment="PmMgTlCl6 | the Alexandria database | PBE | optimized geometry" e_form_raw_ev_per_atom=-1.8692 pbc="T T T"
Pm 0.000 3.993 3.493
Pm 3.458 1.997 10.479
Mg 0.000 3.993 10.479
Mg 3.458 1.997 3.493
Tl 0.000 0.000 0.000
Tl 0.000 0.000 6.986
Cl -1.184 2.303 8.993
Cl -2.056 3.813 11.964
Cl 1.184 2.303 11.964
Cl -0.872 5.863 8.993
Cl 2.587 0.126 2.007
Cl 1.403 2.177 4.978
Cl 2.056 3.813 8.993
Cl 0.872 5.863 11.964
Cl 4.330 0.126 4.978
Cl 2.274 3.687 2.007
Cl 5.514 2.177 2.007
Cl 4.642 3.687 4.978



# 6
6
Lattice="2.434 -7.511 0.000 2.434 7.511 0.000 0.000 0.000 4.786" Properties=species:S:1:pos:R:3 comment="Th5Si | the Alexandria database | PBE | optimized geometry" e_form_raw_ev_per_atom=-0.0510 pbc="T T T"
Th 0.000 0.000 0.000
Th 2.434 5.145 2.393
Th 2.434 2.372 0.000
Th 2.434 -2.372 0.000
Th 2.434 -5.145 2.393
Si 2.434 0.000 2.393



# 7
4
>>>
#3 Apprenticeships
You might want to use your university network to see if you can get an apprenticeship instead. Maybe, you feel that starting an apprenticeship and then going into university might feel like a better pathway for you in the end. It all depends on how you feel you would prefer to learn, what you feel more comfortable doing, and if you want to work and learn at the same time. Not everybody learns the same way and finding this out is an important part of your educational process, especially at a vital point like your university education.
#4 Maybe the course isn’t right for you
You might find that the course you chose isn’t right for you. This can be a problem, but you can easily switch around your courses at the beginning of the year. This can be something that can affect any student, so don’t think you’re the first person to do this, and you won’t be the last either. It might even come down to the fact that you don’t like the teacher, or the class is a bit too rowdy for you to concentrate. This can be something that you don’t particularly want to do, but it might be a better move for you in the long run, not only for your education, but for your mental health too.